_Input_
- - -
Record 1
C4H6N4O | ωB97M-V/def2-TZVPD

The geometry in XYZ format:
```
15
Properties=species:S:1:pos:R:3
C 1.00726 1.01807 0.05177
C -1.26776 -1.65251 0.07315
C -2.13793 -0.65284 -0.08574
C -1.32722 0.62483 -0.05792
H 2.13565 -0.95943 -0.91160
H 0.70904 2.08828 0.22453
H 0.58838 -1.46227 0.97245
H -1.38947 -2.71268 0.09247
H -3.15934 -0.85438 -0.29267
H -2.55966 2.02962 -0.24363
N 2.24662 0.74174 0.10421
N -0.03061 0.12067 -0.03209
N 0.08470 -1.25664 0.08598
N -1.56027 1.89571 0.03568
O 2.60579 -0.58309 -0.13569
```

Calculated values
energy relative to the best compared isomer or geometry (same formula, charge and spin)	3.540	eV
lowest unoccupied orbital energy	0.62	eV
molecular weight	126.1	g/mol
SMILES	[H]/N=c1\cc[nH]n1/C=N\O
orbital gap	0.339	Ha
total charge	0
maximum force	2.282	eV/Å
HOMO	-8.6	eV

***

Record 2
C7H17NO4 | ωB97M-V/def2-TZVPD

The geometry in XYZ format:
```
29
Properties=species:S:1:pos:R:3
C 0.45530 -1.77314 -2.15374
C -0.19431 -2.77115 -1.46094
N -0.19471 -2.36050 -0.11581
C 0.35961 -1.11456 0.02074
C 0.78430 -0.73023 -1.25545
C 1.52261 0.51537 -1.67512
C 0.19577 -0.82317 2.50192
C 0.39522 -0.33708 1.20076
H 0.50745 -1.58479 -3.22007
H -0.26996 -3.83136 -1.63674
H -0.62497 -2.93176 0.58664
H 1.73124 0.39216 -2.72831
H 0.93941 1.41990 -1.48458
H 2.39612 0.55675 -1.01629
H -0.19225 -1.83284 2.59359
H 0.34653 -0.25096 3.37967
H 0.71311 0.68072 0.99975
H 2.42920 1.17560 2.51022
H 1.12931 1.89024 2.67424
O 1.95371 1.73138 3.14150
H -1.25033 2.68731 -0.12815
H -0.02275 2.29804 0.65319
O -0.54106 3.07233 0.40508
H -0.91559 1.02281 -2.68529
H -0.68892 2.49672 -2.38789
O -1.36733 1.87551 -2.67138
H -2.76768 -0.44939 1.96125
H -3.25121 -0.63719 0.56011
O -3.57783 -0.38671 1.43109
```

Calculated values
spin multiplicity	2
lowest unoccupied orbital energy (alpha / beta)	3.34 / 3.31	eV
molecular weight	179.2	g/mol
orbital gap (alpha / beta)	0.145 / 0.243	Ha
total charge	-1
maximum force	1.771	eV/Å
HOMO (alpha / beta)	-0.6 / -3.3	eV

***

Record 3
C40H95N6O8 | ωB97M-V/def2-TZVPD

The geometry in XYZ format:
```
149
Properties=species:S:1:pos:R:3
C 1.18732 1.45297 -0.23380
C 0.38032 0.18977 0.18201
O 0.21263 -0.67148 -0.74015
O 0.04874 -0.06902 1.33181
H 0.62621 2.04580 -0.95616
H 2.17594 1.20851 -0.62234
H 1.36077 2.08651 0.63605
C -4.37604 -2.97138 2.55924
C -2.79407 -3.19639 2.70732
C -2.49353 -4.64424 3.32463
C -2.74756 -5.76648 2.29967
C -2.69535 -5.38825 0.80427
C -1.67999 -4.22262 0.49362
N -2.11163 -3.05684 1.35246
O -2.36754 -1.78367 0.76275
C -1.86544 -3.83257 -1.02596
C -0.24160 -4.47847 0.81831
C -2.05315 -2.14084 3.51913
H -4.63573 -2.20154 1.83259
H -4.85620 -2.76101 3.51490
H -4.79892 -3.76271 1.94033
H -3.10327 -4.64621 4.22813
H -1.46333 -4.69062 3.67769
H -3.64176 -6.34119 2.54094
H -1.95856 -6.51753 2.33852
H -3.69637 -5.20601 0.41333
H -2.49660 -6.28338 0.21491
H -1.57966 -4.60235 -1.74281
H -1.38035 -2.92033 -1.37323
H -2.92090 -3.75265 -1.28622
H 0.29036 -5.08168 0.08261
H 0.05122 -4.98582 1.73753
H 0.27807 -3.52395 0.73507
H -2.16518 -1.09980 3.21619
H -0.99616 -2.40471 3.55454
H -2.46461 -2.23547 4.52405
C -5.25503 -1.17130 -4.78459
C -4.17227 -0.10276 -4.50174
C -3.62388 -0.30147 -2.98728
C -2.34532 0.38770 -2.66996
C -1.23395 -0.25473 -3.50229
C -1.50145 -0.13415 -5.04611
N -2.98532 -0.37660 -5.38437
O -3.29315 -0.38660 -6.74331
C -0.60346 -1.14550 -5.77369
C -1.22918 1.29159 -5.54683
C -4.67500 1.31854 -4.58261
H -6.04273 -1.12531 -4.03258
H -4.89761 -2.19521 -4.67523
H -5.78600 -1.15639 -5.73640
H -3.68331 -1.32981 -2.63079
H -4.35041 0.10653 -2.28457
H -2.14295 0.06409 -1.64896
H -2.19308 1.46349 -2.58271
H -0.98472 -1.22160 -3.06510
H -0.29328 0.28467 -3.39137
H -0.80759 -2.19770 -5.57551
H 0.37813 -0.94038 -5.34646
H -0.65656 -0.87260 -6.82764
H -0.15187 1.45339 -5.51047
H -1.70354 2.09706 -4.98620
H -1.54139 1.45887 -6.57768
H -5.51250 1.40497 -3.89035
H -5.04816 1.64637 -5.55286
H -3.84253 1.94225 -4.25686
C 4.79024 -2.76778 -4.89929
N 3.60855 -2.27082 -4.01194
- - -
_Wanted_
It remains to filter the calculation results earlier on: keep the lines with the word "format".
_Reply_
The geometry in XYZ format:
The geometry in XYZ format:
The geometry in XYZ format: